Shinzo Abe has said that being unable to visit Yasukuni Shrine during his first term as prime minister is a huge regret for him. Since he was elected to the position of prime minister for the second time, he has acted as if he would like to visit Yasukuni Shrine. However, he merely presented a cash offering to the shrine, a fact which the Chinese side was given notice of in advance. Deputy Prime Minister Taro Aso, Chief Cabinet Secretary Yoshihide Suga, and Minister for Foreign Affairs Fumio Kishida also did not visit Yasukuni Shrine on August 15, the anniversary of the end of World War II.
Recently, Abe has clearly been implementing a detour strategy. He is avoiding frontal conflict in consideration of China, Korea, and the United States regarding numerous problems that have made him the target of criticism in the past. At the same time, he appointed Yuji Sato as the first dyed-in-the-wool Japan Coast Guard commandant and assigned Major General Jun Nagashima as the first cabinet secretariat who is a uniformed personnel member. Moreover, he appointed Ichiro Komatsu, the former ambassador to France who agrees with the right to collective defense, as the director-general of the Cabinet Legislation Bureau. In these and other ways, he is working to establish a structure in which he can realize his own beliefs in the realm of personnel.
In defense principles Abe has written that the Japan Coast Guard will be given marine force functions. During the Democratic Party of Japan (DPJ) administration last year, the joint exercises by the U.S. and Japan were cancelled for political reasons (opposition from China). But with the establishment of the Abe government, the U.S. has firmly denied the tenacious requests from the Chinese government to cancel these activities. The three Japan Self-Defense Forces (land, sea, and air) and the U.S. Armed Forces have held exercises in California on amphibious tactics for the recovery of isolated islands (forays at dawn). In these and other ways, increasingly conservative policies are being implemented steadily.
The general section of the morning edition of the Sankei Shimbun newspaper on August 8 contained a column entitled, “Japan mounts an attack with its claims about the A-bomb issue.” It made serious statements about Abe’s speech and actions:
On August 6, Abe gave greetings at the Peace Memorial Ceremony held in Hiroshima City, saying, “We, the Japanese people, are the citizens of the only country in the world that has been the victim of nuclear bombing during a war. It is our mission to continue conveying the inhuman nature of these bombs to future generations.” He drew attention for his censure – using the phrase “inhuman” – of the dropping of the atomic bombs. The ceremony was also attended by U.S. Ambassador to Japan John V. Roos, and it is possible to say that Abe made a mild feint towards the U.S. in regards to this historical issue.
After the end of the Cold War, the Soviet Union – the major rival of the U.S. – disappeared. The warfare afterwards has been in the field of economics. Considering Japan as an enemy, the U.S. has used its past intelligence agencies and industrial espionage to begin official activities. At the same time, it has placed many unreasonable demands on Japan to weaken its economy via “global standards” and the U.S.-Japan Regulatory Reform and Competition Policy Initiative. Consequently, Japan’s GDP hasn’t grown at all for the past 20 years.
Anybody who thought logically would see that the theory that 300,000 people were killed in Nanking, as well as the comfort women (sexual slavery) issue, are not part of reality. The background of this is the Tokyo Trials historical view that was forced on Japan by the U.S., who will not permit any revisions of history. The meaning of Abe’s statement shows his will to criticize the inhuman actions carried out by the U.S. in Hiroshima and Nagasaki – which can rightly be called a crime against humanity – if it continues backing China and Korea, who have extreme views on the Senkaku Islands and comfort women issues. Up until now, such criticism has been kept quiet.
On the same day (August 6), a launching ceremony was held for the Izumo, the largest Maritime Self-Defense Forces ship in history. This escort vessel is 20 meters longer than the Hiryu (an official aircraft carrier of the former Imperial Japanese Navy), and it would not be an exaggeration to describe it as an aircraft carrier as well. Abe dispatched Aso to this ceremony. This schedule could not have been accidental. A ship of the same name that belonged to the former Japanese Navy won battles in the Sea of Japan and helped save survivors from the Rurik armored cruiser that had sunk. These actions were greatly praised in Japan and throughout the world, and this cruiser was the pride of the Japanese navy. The new Izumo is an aircraft carrier-type vessel equipped with helicopters only, but it could probably be slightly remodeled for F-35 vertical takeoff and landing aircraft (VTOL) and Osprey aircraft, which have been determined as the main fighters in the next term.
China purchased the Varyag aircraft carrier from the Ukraine via a merchant in Macao. Even the engine had been removed so this ship could not be used as an aircraft carrier, and China said it would use it as a casino. However, it was remodeled and went into commission last year (in 2012) as the Liaoning, China’s first aircraft carrier. However, there is said to be an issue with insufficient propulsive power, and that aircraft fully loaded with weapons and fuel are unable to take off. The Liaoning is an inferior ship that cannot be compared to the Izumo.
Having Aso attend this launching ceremony is one message from the prime minister expressing the inhuman nature of the atomic bombs. I think Abe is making clever judgments by bringing the world to the same level, and is reliably guiding Japan towards becoming a decent country.
Edward Snowden is a former CIA staff member who exposed the information collection activities of American state institutions, which used interception and monitoring. He left Hong Kong, which is controlled by China, and fled to Russia. After staying for more than one month in the transit area of an airport in Moscow, he was allowed to reside for one year in Russia. This escape reads like a play that was scripted from the start, based on the conditions of handing over his vast amount of American strategy information to China and Russia.
As is also indicated in Snowden’s indictments, information strategy warfare throughout the world has grown harsher since the advent of the Internet society. China and the U.S. reproach each other, saying the other country is the mastermind of cyber attacks, but both are certainly carrying out such attacks. In addition to the collection and analysis of information – including intercepted data – confusing information is spread, and cyber attacks are mounted against the computer servers of other countries. This is a normal part of national security guarantees in the modern era. The problem is that Japan is not threatened by this reality.
== Between two parts of the entry: materials data ==
Record 1
First-principles (PBE) data for a relaxed structure of Na18Nb20Zn4Si27S9O144, as listed in Materials Project.

Lattice parameters (Å, degrees): 8.955 15.520 22.841 89.80 89.93 89.94
Element x y z (fractional)
Na  0.000  0.000  0.000
Na  0.000  0.337  0.829
Na  0.193  0.821  0.753
Na  0.300  0.321  0.252
Na  0.493  0.839  0.325
Na  0.495  0.169  0.665
Na  0.496  0.501  0.498
Na  0.497  0.505  0.003
Na  0.499  0.163  0.171
Na  0.500  0.832  0.831
Na  0.623  0.998  0.747
Na  0.695  0.321  0.748
Na  0.797  0.821  0.245
Na  0.869  0.499  0.245
Na  0.993  0.668  0.674
Na  0.994  0.332  0.326
Na  0.995  0.005  0.501
Na  0.998  0.671  0.163
Nb  0.491  0.167  0.020
Nb  0.494  0.167  0.817
Nb  0.495  0.168  0.313
Nb  0.495  0.504  0.357
Nb  0.497  0.845  0.980
Nb  0.504  0.171  0.522
Nb  0.504  0.512  0.860
Nb  0.504  0.845  0.476
Nb  0.506  0.507  0.650
Nb  0.507  0.506  0.151
Nb  0.985  0.006  0.652
Nb  0.987  0.338  0.477
Nb  0.987  0.344  0.977
Nb  0.989  0.671  0.022
Nb  0.990  0.011  0.358
Nb  0.995  0.007  0.145
Nb  0.997  0.669  0.815
Nb  0.998  0.003  0.858
Nb  0.999  0.668  0.316
Nb  0.999  0.672  0.518
Zn  0.503  0.842  0.693
Zn  0.513  0.845  0.186
Zn  0.980  0.336  0.689
Zn  0.989  0.341  0.192
Si  0.138  0.150  0.251
Si  0.142  0.814  0.919
Si  0.143  0.530  0.919
Si  0.203  0.172  0.919
Si  0.210  0.507  0.251
Si  0.283  0.008  0.751
Si  0.290  0.672  0.418
Si  0.349  0.031  0.419
Si  0.353  0.314  0.419
Si  0.353  0.650  0.751
Si  0.354  0.982  0.089
Si  0.634  0.315  0.918
Si  0.636  0.654  0.254
Si  0.641  0.982  0.589
Si  0.642  0.358  0.254
Si  0.645  0.026  0.919
Si  0.704  0.338  0.587
Si  0.705  0.005  0.252
Si  0.709  0.676  0.918
Si  0.780  0.172  0.417
Si  0.786  0.837  0.088
Si  0.793  0.505  0.754
Si  0.848  0.527  0.419
Si  0.850  0.857  0.754
Si  0.853  0.482  0.089
Si  0.855  0.153  0.755
Si  0.856  0.817  0.416
S  0.140  0.194  0.586
S  0.141  0.484  0.586
S  0.141  0.862  0.253
S  0.205  0.837  0.585
S  0.287  0.338  0.085
S  0.351  0.362  0.752
S  0.352  0.693  0.086
S  0.643  0.693  0.585
S  0.850  0.195  0.085
O  0.060  0.775  0.258
O  0.063  0.572  0.861
O  0.065  0.767  0.975
O  0.067  0.433  0.928
O  0.067  0.910  0.911
O  0.069  0.901  0.199
O  0.070  0.099  0.309
O  0.070  0.107  0.589
O  0.073  0.573  0.578
O  0.074  0.246  0.246
O  0.076  0.237  0.533
O  0.077  0.446  0.639
O  0.103  0.258  0.930
O  0.103  0.759  0.577
O  0.104  0.086  0.912
O  0.104  0.594  0.258
O  0.107  0.087  0.194
O  0.108  0.423  0.250
O  0.108  0.913  0.306
O  0.109  0.916  0.588
O  0.112  0.432  0.532
O  0.112  0.756  0.859
O  0.113  0.588  0.977
O  0.117  0.245  0.639
O  0.169  0.996  0.092
O  0.170  0.656  0.758
O  0.172  0.015  0.411
O  0.173  0.326  0.432
O  0.174  0.996  0.808
O  0.175  0.022  0.693
O  0.177  0.659  0.476
O  0.178  0.687  0.363
O  0.186  0.681  0.079
O  0.188  0.348  0.033
O  0.191  0.351  0.744
O  0.204  0.323  0.140
O  0.288  0.822  0.640
O  0.300  0.849  0.247
O  0.303  0.846  0.533
== Here the entry continues ==
We should promptly create a system in which, at least, television programs, newspaper articles, and other public information in the languages of countries that can impact Japan can be gathered and analyzed. Erroneous reports and those that censure Japan should be refuted, and a request should be made for amendment, within 24 hours. We must also construct a structure that allows us to engage in immediate counterattacks against cyber terrorism. A stance of waiting until the truth becomes clear – and a compassionate attitude of assuming that the other party has reasons for his or her actions – is something that only works inside Japan. The actual conditions in the world, where survival of the fittest applies, are much more cool-headed.
Japan should respond to this by quickly creating an information and publicity institution with a yearly budget of 300 billion yen and 3,000 people. Together with gathering and analyzing information from across the world, we should probably build a structure that allows us to make immediate counterattacks as a measure against cyber terrorism.
The U.S. has been forced to withdraw from Iraq, and will also unavoidably withdraw from Afghanistan next year. After that, it will rapidly decline in terms of its economy, military, and government. As a response, China and Russia are strengthening their cooperation just like the structure that existed during the Cold War. The first Chinese/Russian joint army exercises using weapons were held in August in the Ural region of Russia.
_Calculated crystals, kept here for reference_
- - -
Entry 1:
Material: LiCoSiO4
Method: DFT, PBE+U
State: optimized geometry

abc: 10.175 6.104 4.687
angles: 90.00 90.00 90.00
Sites, in units of the cell vectors:
Li 0.219 0.250 0.038
Li 0.281 0.750 0.538
Li 0.719 0.250 0.462
Li 0.781 0.750 0.962
Co 0.000 0.000 0.500
Co 0.000 0.500 0.500
Co 0.500 0.000 0.000
Co 0.500 0.500 0.000
Si 0.087 0.750 0.091
Si 0.413 0.250 0.591
Si 0.587 0.750 0.409
Si 0.913 0.250 0.909
O 0.060 0.250 0.734
O 0.089 0.750 0.748
O 0.145 0.524 0.240
O 0.145 0.976 0.240
O 0.355 0.024 0.740
O 0.355 0.476 0.740
O 0.411 0.250 0.248
O 0.440 0.750 0.234
O 0.560 0.250 0.766
O 0.589 0.750 0.752
O 0.645 0.524 0.260
O 0.645 0.976 0.260
O 0.855 0.024 0.760
O 0.855 0.476 0.760
O 0.911 0.250 0.252
O 0.940 0.750 0.266

Results
Its corrected total energy (MP2020 scheme) is -7.200 eV per atom. As for the volume: 10.4 Å³ per atom. The crystal system is orthorhombic. As for the raw total energy: -184.1 eV per cell. The value obtained for the energy above the most stable polymorph in this dataset is 43.8 meV per atom. The formation energy is -2.31 eV per atom.


Entry 2:
Material: Li2Co2Si3O9
Method: DFT, PBE+U
State: optimized geometry

abc: 12.406 9.631 6.159
angles: 90.00 90.00 90.00
Sites, in units of the cell vectors:
Li 0.087 0.057 0.149
Li 0.087 0.443 0.149
Li 0.413 0.557 0.649
Li 0.413 0.943 0.649
Li 0.587 0.057 0.351
Li 0.587 0.443 0.351
Li 0.913 0.557 0.851
Li 0.913 0.943 0.851
Co 0.164 0.000 0.700
Co 0.164 0.500 0.700
Co 0.336 0.000 0.200
Co 0.336 0.500 0.200
Co 0.664 0.000 0.800
Co 0.664 0.500 0.800
Co 0.836 0.000 0.300
Co 0.836 0.500 0.300
Si 0.038 0.250 0.542
Si 0.078 0.750 0.024
Si 0.212 0.750 0.425
Si 0.288 0.250 0.925
Si 0.422 0.250 0.524
Si 0.462 0.750 0.042
Si 0.538 0.250 0.958
Si 0.578 0.750 0.476
Si 0.712 0.750 0.075
Si 0.788 0.250 0.575
Si 0.922 0.250 0.976
Si 0.962 0.750 0.458
O 0.029 0.250 0.812
O 0.069 0.601 0.903
O 0.069 0.899 0.903
O 0.091 0.750 0.531
O 0.098 0.108 0.464
O 0.098 0.392 0.464
O 0.193 0.750 0.160
O 0.228 0.104 0.992
O 0.228 0.396 0.992
O 0.272 0.604 0.492
O 0.272 0.896 0.492
O 0.307 0.250 0.660
O 0.402 0.608 0.964
O 0.402 0.892 0.964
O 0.409 0.250 0.031
O 0.431 0.101 0.403
O 0.431 0.399 0.403
O 0.471 0.750 0.312
O 0.529 0.250 0.688
O 0.569 0.601 0.597
O 0.569 0.899 0.597
O 0.591 0.750 0.969
O 0.598 0.108 0.036
O 0.598 0.392 0.036
O 0.693 0.750 0.340
O 0.728 0.104 0.508
O 0.728 0.396 0.508
O 0.772 0.604 0.008
O 0.772 0.896 0.008
O 0.807 0.250 0.840
O 0.902 0.608 0.536
O 0.902 0.892 0.536
O 0.909 0.250 0.469
O 0.931 0.101 0.097
O 0.931 0.399 0.097
O 0.971 0.750 0.188

Results
Its corrected total energy (MP2020 scheme) is -7.477 eV per atom. As for the volume: 11.5 Å³ per atom. The crystal system is orthorhombic. As for the raw total energy: -440.7 eV per cell. The value obtained for the energy above the most stable polymorph in this dataset is 24.5 meV per atom. The formation energy is -2.55 eV per atom.


Entry 3:
Material: Li2CoSi4O10
Method: DFT, PBE+U
State: optimized geometry

abc: 7.069 9.584 14.277
- - -
Vladimir Putin became the president for the second time this year, but his approval rating is declining steadily. Oil and natural gas exports are the foundation of the Russian economy. However, shale gas development in the U.S. is taking place at a rapid pitch, and it is certain that the U.S. will someday change from a country that consumes energy to one that produces it. Attention is also being paid to methane hydrate; Japan is carrying out surveys and technological development with the target of commercial production starting from 2019. Considering these things, it is sure that Russia’s predominant position as a resource-supplying country will become unstable in the future. Both Russia and China – where, it is now known, the local governments have vast amounts of bad debt and a major economic downturn has begun – are quickly approaching the time when they will have to bet on their survival. In the end, I suspect that Russia will be vigilant against the expanding China and will attempt to join hands with Japan.
The August 2013 issue of the magazine Sentaku (“Choices”) contained an article entitled, “The tragedy of China’s quickly weakening economy.” Worthy of notice is that, “The leadership of President Xi Jinping and Premier Li Keqiang has clearly shown the world the problems that would have traditionally been kept concealed, including the sharp rise in short-term interest rates, year-on-year export decline, and slowing growth rate.” These circumstances are becoming quite serious. The Xi Jinping administration must square off against many issues: power struggles inside the Chinese Communist Party, disparities between rich and poor, and more than 100,000 riots each year in response to inequality and political corruption. Many local governments have debt that they are unable to repay; there are many different theories about the sum total, but it is surely from one to three trillion dollars. China may have debt default three times the size of Japan’s national budget. China is ailing and waning for these reasons.
Japan has spent 20 years squaring its account after the bubble burst, and its GDP is finally turning towards expansion. In the future, even if Japan raised its consumption tax by 3%, the GDP would continue growing if personal income tax were reduced by around 3%. In this way, Japan could aim to once again become the world’s second largest economic power. From this point on Japan should work to refine its “soft power,” contribute to the world with its economic strength, and become a decent country that is highly estimated throughout the world.
The Liberal Democratic Party (LDP), led by Abe, won a great victory in this summer’s House of Councillors election. I expect that no elections on national politics will be held for the next three years. Three years from now, it is very probable that the LDP will be victorious once again if both houses were dissolved and a double election was held. A Golden Age in Japan will be ushered in during these three years. The Tokyo Olympic Games (which I believe will be decided soon), the designation of Mt. Fuji as a UNESCO World Heritage Site, the effects of the Tokyo Skytree, and other factors will draw tourists from throughout the world. The number of foreign visitors to Japan will of course exceed 10 million during this period, and I think it will reach the level of 20 million in the near future. I also believe that a major tourism boom will occur in which the number of domestic grows due to economic stimulation via the “Abenomics” economic policies.
APA Group has been implementing “Summit Five” – its five-year, medium-term plan – from April 2010. Our target is to construct 50 hotels in central Tokyo by the year 2015. Three years and four months have already passed since the plan was determined; up until now we have acquired sites for 30 hotels and have opened 16. All of these have monthly operating ratios of close to 100%. Tourism will definitely becoming a driving force in Japan’s future economic growth, and APA Group will shoulder part of this burden.
The LDP – which will be triumphant in the double election three years from now – probably hopes that Abe will govern for five years, just like Yasuhiro Nakasone and Junichiro Koizumi. If he lasted more than five years, people in the party would start complaining. His successor will be important, so I definitely hope Abe will pick a female successor. There are many female candidates for prime minister, such as Policy Research Council Chairman Sanae Takaichi and Minister for Administrative Reform Tomomi Inada, who were the first cabinet ministers to proclaim that they would visit Yasukuni Shrine this year and then do so. I believe Abe’s mission is to open up a path to having a female prime minister after placing checks on the U.S. while simultaneously maintaining a friendly relationship with the U.S. and bringing up its responsibility for the atomic bombs, revising the constitution during his term, altering the Treaty of Mutual Cooperation and Security Between the United States and Japan (U.S.-Japan Security Treaty) into an equal treaty of mutual benefit, and transforming Japan into a decent country.
The next election will be held in 2016, which is the year of the presidential election in the U.S. If the Republican Party took political power from the Democratic Party in that election, the circumstances would be ideal for Japan to revise its constitution at that timing and start work on revising the U.S.-Japan Security Treaty.
Looking at the history between Japan and the U.S., Commodore Matthew Perry came to Japan in his “black ships” in 1853. Then-president Franklin Pierce, a Democrat, is the one who forced the shogunate to open the country to the world. The U.S. supported Japan in various ways during the Russo-Japanese war from 1904 to 1905. However, the president at that time was Republican Theodore Roosevelt. President William Howard Taft, who approved Japan’s annexation of Korea (1910) and the recovery of tariff autonomy (1911), was also a Republican. Manchukuo was founded in 1932, when Republican Herbert Hoover was president. Democrat Franklin D. Roosevelt, an extreme racist, made a public promise that the U.S. would not participate in the war in Europe, despite the appeal from England, its ally. He won the presidential election that year based on this promise. To help England, he constricted Japan economically with the American-British-Chinese-Dutch (ABCD) encirclement. He provoked Japan with the Hull Note, effectively a declaration of war (this note was written by Harry Dexter White, who was revealed as a Komintern spy afterwards and committed suicide). Together with participating in Europe’s war from behind, he started warfare with Japan to gain hegemony in the Pacific Ocean – the dearest wish of the U.S. since Perry’s arrival. It also worked to weaken Japan and Germany, which had hindered Joseph Stalin’s ambition to communize the world.
After Roosevelt’s death, Democratic Harry Truman – who was also an extreme racist – assumed the office of president. Germany and Japan had weakened, and the Cold War between the U.S. and the Soviet Union had begun since the closing days of World War II. To establish global hegemony in the postwar period, the U.S. ignored multiple signals from Japan (via Sweden, Switzerland, the Vatican, the Soviet Union, and other parties). Japan wanted reconciliation, and its only condition was the duration of the Emperor System. The U.S. delayed this issue and then dropped the atomic bombs on Hiroshima and Nagasaki as a restraint on the Soviet Union. In addition, during the American occupation of Japan, the U.S. placed responsibility for the war on the Emperor of Japan. To ensure that it would not be questioned about its responsibility for dropping the bombs on Hiroshima and Nagasaki, it forced a constitution on Japan that can be described as a masochistic one.
After the war, Okinawa was returned to Japan according to its heartfelt wish when Richard Nixon (a Republican) was president in 1972. Looking at history, it is clear that the Republican Party governments have had a pro-Japanese stance, while the Democratic Party administrations have had an anti-Japanese one.
The American president during the long-term Nakasone administration was Republican Ronald Reagan, while Republican George Bush was in power during the Koizumi administration. President Bush proposed visiting Yasukuni Shrine together with Koizumi, but Koizumi declined this invitation. If they had visited the shrine together, I don’t think the issue would have been prolonged until today. When Democrat Barack Obama became president in 2008, the effects even reached Japan. The DPJ – which is nothing more than a benefit society for winning elections and is thoroughly incapable of governing – gained political power in 2010.
Since the end of World War II, Japan has constantly been made to face invisible barriers put up by the U.S. So that the U.S. could still be seen as a “good country” even after its dropping of the atomic bombs, Japan had to be seen as a bad one. The U.S. established this historical viewpoint via the Tokyo Trials; any changes afterward have been called “historical revisionism” and are fully prohibited.
But a soft counterattack has finally begun through Abe’s use of the word “inhuman” at the ceremony in Hiroshima. As the U.S. declines and China expands, if the Republic Party gained control of the government in the election three years from now, it is highly possible that the U.S. will approve the revision of Japan’s constitution and the U.S.-Japan Security so that Japan can be responsible for security guarantees in East Asia. Japan must not let this chance go by. I wish to guide the public opinion in a respectable, conservative direction via this essay contest, the essay contest I hold, the Shoheijuku school, and my new column that is being published in Yukan Fuji (“Evening Fuji”).
1:20 a.m., August 16, 2013 (Friday)